_Contents_
┌──
A structure of composition C17H24Br42O2P in a non-equilibrium geometry. Source: OMol25; level of theory: the ωB97M-V functional and the def2-TZVPD basis.

Positions of all 86 atoms, in Å:
C (4.837, -3.503, -3.744)
Br (11.923, -1.183, -4.888)
Br (2.759, -0.709, 5.454)
Br (2.037, -0.963, 11.576)
O (-3.833, 2.799, 0.244)
Br (1.167, 1.538, 7.091)
Br (-9.742, -3.408, 4.522)
H (-1.484, 2.867, -0.524)
Br (1.198, -2.521, 8.909)
H (-5.552, 1.863, -0.633)
Br (4.505, 1.067, 1.232)
Br (-9.362, -0.231, 4.538)
H (-8.113, -1.986, 3.319)
C (1.844, 0.990, 5.366)
Br (12.369, 1.992, -4.838)
Br (-0.732, -4.921, -3.724)
H (-4.955, -1.055, -0.333)
Br (-11.984, 2.364, 2.664)
C (-5.025, 1.974, 0.338)
Br (2.715, 0.500, -2.918)
Br (-7.622, -3.356, -0.196)
C (-6.104, -4.346, -0.866)
C (-0.511, 2.373, 3.305)
H (-2.364, 0.785, -0.354)
H (4.595, -2.523, -4.136)
Br (9.055, -3.012, -7.144)
H (0.988, 0.855, 4.720)
C (-11.804, 2.205, 0.748)
C (1.334, 0.180, -1.615)
Br (6.090, -2.451, -8.224)
Br (7.023, 1.496, -1.713)
C (-9.168, -1.860, 3.520)
H (-6.182, -5.351, -0.475)
Br (5.619, 1.295, -4.567)
Br (-0.804, 6.829, 1.812)
H (-0.649, -2.458, -3.532)
C (0.492, 8.069, 2.535)
C (-0.862, -3.105, -4.368)
H (-6.495, -0.166, -0.216)
Br (2.952, 2.355, 4.562)
C (6.596, 0.342, -3.197)
Br (10.466, 0.652, -7.034)
C (12.040, 0.437, -5.936)
Br (-0.640, 3.983, 4.349)
Br (-4.432, -3.614, -0.219)
Br (-0.401, 0.794, -2.242)
C (-5.651, -0.545, 0.388)
H (5.543, -0.210, 3.088)
Br (5.314, -3.266, -1.882)
H (-5.732, 2.535, 0.974)
H (-4.536, 0.996, 2.887)
H (5.936, -0.426, -2.814)
Br (-6.128, -4.483, -2.792)
H (0.261, 9.043, 2.127)
H (-12.062, 3.165, 0.323)
Br (1.279, -1.665, -1.059)
H (-3.762, 0.264, 1.113)
Br (2.288, 7.628, 1.978)
Br (7.791, -4.894, -9.402)
Br (0.460, -2.728, -5.724)
H (12.888, 0.330, -6.597)
Br (4.221, -1.535, 9.308)
H (8.256, -2.463, -9.422)
O (-5.303, 0.727, 2.388)
Br (7.318, -0.462, 1.377)
Br (-2.651, -2.682, -4.968)
P (-2.672, 2.120, -0.689)
Br (-13.035, 0.909, 0.017)
C (-4.814, 0.596, 1.040)
Br (6.314, -4.184, -4.783)
C (2.358, -1.180, 9.683)
H (-6.004, -1.277, 1.121)
Br (-10.061, -1.744, 1.809)
Br (3.261, -4.604, -3.942)
Br (-1.106, 0.817, 4.287)
Br (0.349, 8.206, 4.456)
Br (-1.447, 2.547, 1.604)
C (5.498, -0.395, 2.023)
Br (-9.980, 1.826, 0.230)
C (7.855, -3.113, -8.657)
Br (8.150, -0.550, -3.907)
H (-2.996, 2.148, -2.073)
H (0.537, 2.223, 3.075)
H (2.113, -0.240, 9.210)
H (1.576, 0.770, -0.741)
Br (4.591, -2.084, 1.778)

Atoms 1-3, force components in eV/Å:
0.10 -0.15 -0.10
0.01 0.13 -0.03
-0.11 0.22 0.00

- total charge = +1
- ΔE to the lowest compared entry with this formula, charge and spin (eV) = 0.378
- HOMO (eV) = -11.36
- gap between HOMO and LUMO (eV) = 7.6

~~~~~

Entry 1:
Molecular formula: C48H53F3N3O
Method: DFT, ωB97M-V/def2-TZVPD

Each line ends with the Löwdin charge.
Positions of all 108 atoms, in Å:
C 5.3999 0.5529 -0.3795  -0.06
C 4.7290 1.5159 0.6010  -0.38
C 5.5761 2.7678 0.8560  -0.06
C 4.3293 0.7820 1.8881  -0.12
C 5.3369 0.3706 2.7594  -0.03
C 5.0211 -0.2127 3.9843  -0.05
C 3.6909 -0.3275 4.3814  -0.03
C 2.6614 0.0780 3.5315  -0.12
C 1.2154 0.0669 4.0310  -0.37
C 1.0599 0.4574 5.5106  -0.07
C 0.5568 -1.2752 3.7306  -0.06
C 2.9859 0.5101 2.2228  -0.08
N 1.9467 0.9830 1.3366  0.00
N 1.8126 2.3334 1.2255  0.19
N 0.7104 2.5252 0.4773  0.01
C 0.1143 3.8513 0.4132  -0.09
C 0.7832 4.8569 -0.3227  -0.13
C 2.1488 4.6270 -0.9760  -0.38
C 3.1922 5.6382 -0.4900  -0.06
C 2.0493 4.5814 -2.5056  -0.05
C 0.1343 6.0797 -0.5075  -0.02
C -1.1152 6.3201 0.0541  -0.04
C -1.7056 5.3633 0.8712  -0.02
C -1.0841 4.1398 1.1150  -0.12
C -1.7134 3.1733 2.1222  -0.37
C -2.9236 2.4411 1.5422  -0.04
C -2.0561 3.8696 3.4480  -0.06
C 0.2335 1.3140 -0.0148  -0.11
C -0.8328 1.2327 -0.9658  -0.14
C -1.5155 0.0013 -1.0851  -0.02
C -2.3828 -0.2100 -2.1318  -0.03
C -2.7643 0.8305 -2.9552  -0.13
C -3.8064 0.5123 -3.9854  -0.51
F -3.9411 1.4941 -4.9145  0.13
F -3.4903 -0.6518 -4.6538  0.10
F -5.0313 0.3109 -3.3996  0.12
C -2.1847 2.0845 -2.8140  0.01
└──

_Assignment_
Quote the notes further up from the first line to the one with "1.809)" unchanged.

_Solution_
A structure of composition C17H24Br42O2P in a non-equilibrium geometry. Source: OMol25; level of theory: the ωB97M-V functional and the def2-TZVPD basis.

Positions of all 86 atoms, in Å:
C (4.837, -3.503, -3.744)
Br (11.923, -1.183, -4.888)
Br (2.759, -0.709, 5.454)
Br (2.037, -0.963, 11.576)
O (-3.833, 2.799, 0.244)
Br (1.167, 1.538, 7.091)
Br (-9.742, -3.408, 4.522)
H (-1.484, 2.867, -0.524)
Br (1.198, -2.521, 8.909)
H (-5.552, 1.863, -0.633)
Br (4.505, 1.067, 1.232)
Br (-9.362, -0.231, 4.538)
H (-8.113, -1.986, 3.319)
C (1.844, 0.990, 5.366)
Br (12.369, 1.992, -4.838)
Br (-0.732, -4.921, -3.724)
H (-4.955, -1.055, -0.333)
Br (-11.984, 2.364, 2.664)
C (-5.025, 1.974, 0.338)
Br (2.715, 0.500, -2.918)
Br (-7.622, -3.356, -0.196)
C (-6.104, -4.346, -0.866)
C (-0.511, 2.373, 3.305)
H (-2.364, 0.785, -0.354)
H (4.595, -2.523, -4.136)
Br (9.055, -3.012, -7.144)
H (0.988, 0.855, 4.720)
C (-11.804, 2.205, 0.748)
C (1.334, 0.180, -1.615)
Br (6.090, -2.451, -8.224)
Br (7.023, 1.496, -1.713)
C (-9.168, -1.860, 3.520)
H (-6.182, -5.351, -0.475)
Br (5.619, 1.295, -4.567)
Br (-0.804, 6.829, 1.812)
H (-0.649, -2.458, -3.532)
C (0.492, 8.069, 2.535)
C (-0.862, -3.105, -4.368)
H (-6.495, -0.166, -0.216)
Br (2.952, 2.355, 4.562)
C (6.596, 0.342, -3.197)
Br (10.466, 0.652, -7.034)
C (12.040, 0.437, -5.936)
Br (-0.640, 3.983, 4.349)
Br (-4.432, -3.614, -0.219)
Br (-0.401, 0.794, -2.242)
C (-5.651, -0.545, 0.388)
H (5.543, -0.210, 3.088)
Br (5.314, -3.266, -1.882)
H (-5.732, 2.535, 0.974)
H (-4.536, 0.996, 2.887)
H (5.936, -0.426, -2.814)
Br (-6.128, -4.483, -2.792)
H (0.261, 9.043, 2.127)
H (-12.062, 3.165, 0.323)
Br (1.279, -1.665, -1.059)
H (-3.762, 0.264, 1.113)
Br (2.288, 7.628, 1.978)
Br (7.791, -4.894, -9.402)
Br (0.460, -2.728, -5.724)
H (12.888, 0.330, -6.597)
Br (4.221, -1.535, 9.308)
H (8.256, -2.463, -9.422)
O (-5.303, 0.727, 2.388)
Br (7.318, -0.462, 1.377)
Br (-2.651, -2.682, -4.968)
P (-2.672, 2.120, -0.689)
Br (-13.035, 0.909, 0.017)
C (-4.814, 0.596, 1.040)
Br (6.314, -4.184, -4.783)
C (2.358, -1.180, 9.683)
H (-6.004, -1.277, 1.121)
Br (-10.061, -1.744, 1.809)